# Source
~~~
Here is an optimized crystal structure of HgPtAu2 from the Alexandria database. Energies are from PBE.

POSCAR file:
```
HgPtAu2
1.0
-2.112 -2.059 -0.885
0.862 -1.870 2.291
-5.202 3.328 4.673
Au Hg Pt
2 1 1
Direct
0.000 0.000 0.766 Au
0.000 0.000 0.234 Au
0.500 0.500 0.500 Hg
0.500 0.500 0.000 Pt
```

As for the space group: P4/mmm, No. 123. As for the formation energy: 0.10 eV/atom. The uncorrected energy is -3.129 eV per atom.



Here is an optimized crystal structure of Tm2ScAu from the Alexandria database. Energies are from PBE.

POSCAR file:
```
Tm2ScAu
1.0
3.577 0.000 0.000
-1.789 6.211 0.000
0.000 0.000 9.138
Tm Sc Au
4 2 2
Direct
0.369 0.738 0.555 Tm
0.631 0.262 0.445 Tm
0.369 0.738 0.945 Tm
0.631 0.262 0.055 Tm
0.946 0.892 0.250 Sc
0.054 0.108 0.750 Sc
0.743 0.487 0.750 Au
0.257 0.513 0.250 Au
```

As for the space group: Cmcm, No. 63. As for the formation energy: -0.43 eV/atom. The uncorrected energy is -5.070 eV per atom.



Here is an optimized crystal structure of Rb2NiIBr6 from the Alexandria database. Energies are from PBE.

POSCAR file:
```
Rb2NiIBr6
1.0
7.703 0.000 0.000
0.000 7.703 0.000
3.851 3.851 5.880
I Ni Br Rb
1 1 6 2
Direct
0.000 0.000 0.000 I
0.500 0.500 0.000 Ni
0.298 0.298 0.405 Br
0.702 0.702 0.595 Br
0.269 0.269 0.000 Br
0.731 0.731 0.000 Br
0.731 0.269 0.000 Br
0.269 0.731 0.000 Br
0.750 0.250 0.500 Rb
0.250 0.750 0.500 Rb
```

As for the space group: I4/mmm, No. 139. The uncorrected energy is -2.720 eV per atom.



Here is an optimized crystal structure of Pr5YHoTm2 from the Alexandria database. Energies are from PBE.

POSCAR file:
```
Pr5YHoTm2
1.0
-5.352 -0.545 0.777
4.522 -3.442 9.727
-0.465 9.848 3.701
Pr Y Ho Tm
10 2 2 4
Direct
0.377 0.754 0.008 Pr
0.720 0.440 0.818 Pr
0.500 0.000 0.758 Pr
0.280 0.561 0.699 Pr
0.000 0.000 0.508 Pr
0.623 0.246 0.508 Pr
0.280 0.560 0.318 Pr
0.500 0.000 0.258 Pr
0.720 0.439 0.199 Pr
0.000 0.000 0.008 Pr
0.601 0.201 0.008 Y
0.399 0.799 0.508 Y
0.786 0.572 0.509 Ho
0.214 0.428 0.009 Ho
0.886 0.772 0.759 Tm
0.115 0.229 0.757 Tm
0.114 0.228 0.259 Tm
0.885 0.771 0.257 Tm
```

As for the space group: Cmc2_1, No. 36. As for the formation energy: 0.13 eV/atom. The uncorrected energy is -4.743 eV per atom.



> Among the records above, which one has the highest uncorrected energy?

Rb2NiIBr6



> Which of these has the highest uncorrected energy?

Rb2NiIBr6


(1)
# Y2VAs PBE relaxed
data_Y2VAs
_symmetry_space_group_name_H-M 'P 1'
_symmetry_Int_Tables_number 1
_symmetry_space_group_name_Hall 'P 1'
_cell_length_a 6.494
_cell_length_b 6.494
_cell_length_c 6.494
_cell_angle_alpha 105.46
_cell_angle_beta 105.46
_cell_angle_gamma 117.82
loop_
_atom_site_label
_atom_site_type_symbol
_atom_site_fract_x
_atom_site_fract_y
_atom_site_fract_z
Y1 Y 0.104 0.625 0.979
Y2 Y 0.375 0.354 0.479
Y3 Y 0.646 0.125 0.021
Y4 Y 0.875 0.896 0.521
V1 V 0.250 0.750 0.500
V2 V 0.500 0.500 0.000
As1 As 0.000 0.000 0.000
As2 As 0.750 0.250 0.500
# D(E_F) (states/eV/atom): 0.997
# Theoretical density (g/cm³): 4.86
# Crystal system: tetragonal
# Calculated formation energy (meV per atom): 67

=====

(2)
# YVZnAs2 PBE relaxed
data_YVZnAs2
_symmetry_space_group_name_H-M 'P 1'
_symmetry_Int_Tables_number 1
_symmetry_space_group_name_Hall 'P 1'
_cell_length_a 4.706
_cell_length_b 4.706
_cell_length_c 5.303
_cell_angle_alpha 90.00
_cell_angle_beta 90.00
_cell_angle_gamma 90.00
loop_
_atom_site_label
_atom_site_type_symbol
_atom_site_fract_x
_atom_site_fract_y
_atom_site_fract_z
Y1 Y 0.000 0.000 0.000
V1 V 0.000 0.000 0.500
Zn1 Zn 0.500 0.500 0.000
As1 As 0.000 0.500 0.500
As2 As 0.500 0.000 0.500
# D(E_F) (states/eV/atom): 0.920
# Theoretical density (g/cm³): 5.02
# Crystal system: tetragonal
# Calculated formation energy (meV per atom): 104

=====

(3)
# VZn3As PBE relaxed
data_VZn3As
_symmetry_space_group_name_H-M 'P 1'
_symmetry_Int_Tables_number 1
_symmetry_space_group_name_Hall 'P 1'
_cell_length_a 4.874
_cell_length_b 4.874
_cell_length_c 4.874
_cell_angle_alpha 90.00
_cell_angle_beta 90.00
~~~
# What to do
Now filter the material further above: keep the lines with the word "atom".
# Here it is
As for the space group: P4/mmm, No. 123. As for the formation energy: 0.10 eV/atom. The uncorrected energy is -3.129 eV per atom.
As for the space group: Cmcm, No. 63. As for the formation energy: -0.43 eV/atom. The uncorrected energy is -5.070 eV per atom.
As for the space group: I4/mmm, No. 139. The uncorrected energy is -2.720 eV per atom.
As for the space group: Cmc2_1, No. 36. As for the formation energy: 0.13 eV/atom. The uncorrected energy is -4.743 eV per atom.
# D(E_F) (states/eV/atom): 0.997
# Calculated formation energy (meV per atom): 67
# D(E_F) (states/eV/atom): 0.920
# Calculated formation energy (meV per atom): 104